Approval of Third Quarter Supplemental Budget for Fiscal Year 2023-2024
Fiscal Impact:
The budget supplement amends the County’s budget from $2,109,617,628 to $2,131,429,396, an increase of $21,811,768 or 1.03%.
Budget Office
Requested Action:
'''
# UH6C3SeN2O7 GGA-PBE optimized geometry
data_UH6C3SeN2O7
_cell_length_a 9.142
_cell_length_b 10.881
_cell_length_c 13.616
_cell_angle_alpha 90.00
_cell_angle_beta 131.23
_cell_angle_gamma 90.00
_space_group_name_H-M_alt 'P 1 21/c 1'
_space_group_IT_number 14
loop_
_space_group_symop_operation_xyz
'x,y,z'
'-x,-y,-z'
'-x,y+1/2,-z+1/2'
'x,-y+1/2,z+1/2'
loop_
_atom_site_label
_atom_site_fract_x
_atom_site_fract_y
_atom_site_fract_z
_atom_site_occupancy
U1 0.071 0.204 0.189 1
H1 0.202 0.139 0.524 1
H2 0.271 0.514 0.028 1
H3 0.328 0.653 0.174 1
H4 0.390 0.675 0.492 1
H5 0.418 0.141 0.002 1
H6 0.463 0.083 0.184 1
C1 0.300 0.041 0.683 1
C2 0.304 0.622 0.318 1
C3 0.377 0.584 0.249 1
Se1 0.009 0.119 0.898 1
N1 0.256 0.056 0.570 1
N2 0.435 0.645 0.444 1
O1 0.096 0.531 0.436 1
O2 0.122 0.632 0.251 1
O3 0.142 0.179 0.861 1
O4 0.142 0.703 0.937 1
O5 0.143 0.184 0.051 1
O6 0.276 0.107 0.312 1
O7 0.284 0.126 0.739 1
# Crystal system: monoclinic
# Total magnetization, μB per formula unit: 0.00
# Energy of formation, kJ per mole of atoms: -126.19
'''
It is requested that the Board of County Commissioners approve a Supplemental Budget for the Third Quarter of Fiscal Year 2023-2024, authorize the Chair to sign the Resolution, and approve the budget changes and such actions as are necessary to implement the adopted changes.
Summary Explanation and Background:
The County’s Supplemental Budget for the Third Quarter of FY 2023-2024 is adopted by a resolution after holding a public hearing as required by Chapter 129, Florida Statutes. Supplemental Budget Change Requests for applicable County Agencies are included in the Supplemental package. These documents are attached for review and approval.
A summary of the proposed Budget Supplement, along with a notice of date and time of the public hearing, was advertised in the April 19, 2024, edition of the Florida Today.
Special Revenue Funds increase by $7.0M, which is primarily due to increases associated with the following departments and programs: Sheriff’s Office Law Enforcement MSTU, Confiscated Property, and Inmate Commissary fund balances are being recognized and allocated to capital and operating purchases associated with these programs; Fire Rescue Assessment & EMS funds primarily associated with multi-year capital projects and equipment; Emergency Management 800 MHz reconfiguration project.
Enterprise Funds increase by $6.3M, primarily due to projects and equipment purchases being carried-forward in the Utility Services funds due to long-lead times associated with material and equipment purchases, offset by Transit Services decrease associated with timing of grant reimbursements.
General Funds increase by $5.7M, primarily due to General Government fund balance, which is being allocated to critical needs for the Public Works culvert inspection team and Facilities capital projects, as well as Sheriff’s Office recognition of various grants received by the agency.
Transportation Trust Funds increase by $4.0M due to local option gas tax revenue trending higher than anticipated and being recognized and allocated to allow project progression in on-going transportation projects.
## Unrelated to this page: records of crystals
=====
# Li3Mn2Cr2O8 PBE+U relaxed
data_Li3Mn2Cr2O8
_chemical_formula_sum 'Li12 Mn8 Cr8 O32'
_space_group_name_H-M_alt 'P -1'
_space_group_IT_number 2
_cell_length_a 6.009
_cell_length_b 10.225
_cell_length_c 10.260
_cell_angle_alpha 108.31
_cell_angle_beta 90.24
_cell_angle_gamma 90.74
loop_
_space_group_symop_operation_xyz
'x,y,z'
'-x,-y,-z'
loop_
_atom_site_label
_atom_site_type_symbol
_atom_site_fract_x
_atom_site_fract_y
_atom_site_fract_z
_atom_site_occupancy
Li1 Li 0.003 0.250 0.246 1
Li2 Li 0.244 0.747 0.994 1
Li3 Li 0.248 0.249 0.503 1
Li4 Li 0.251 0.993 0.245 1
Li5 Li 0.252 0.501 0.756 1
Li6 Li 0.490 0.243 0.749 1
Mn1 Mn 0.000 0.000 0.000 1
Mn2 Mn 0.000 0.500 0.000 1
Mn3 Mn 0.250 0.750 0.499 1
Mn4 Mn 0.254 0.250 0.998 1
Mn5 Mn 0.500 0.000 0.000 1
Mn6 Mn 0.500 0.500 0.500 1
Cr1 Cr 0.000 0.000 0.500 1
Cr2 Cr 0.000 0.500 0.500 1
Cr3 Cr 0.247 0.994 0.749 1
Cr4 Cr 0.250 0.502 0.249 1
Cr5 Cr 0.500 0.000 0.500 1
Cr6 Cr 0.500 0.500 0.000 1
O1 O 0.007 0.388 0.129 1
O2 O 0.018 0.112 0.879 1
O3 O 0.020 0.870 0.615 1
O4 O 0.027 0.624 0.385 1
O5 O 0.216 0.884 0.881 1
O6 O 0.243 0.116 0.103 1
O7 O 0.248 0.607 0.111 1
O8 O 0.252 0.618 0.605 1
O9 O 0.253 0.396 0.388 1
O10 O 0.253 0.878 0.393 1
O11 O 0.256 0.106 0.617 1
O12 O 0.271 0.369 0.886 1
O13 O 0.472 0.874 0.615 1
O14 O 0.477 0.383 0.124 1
O15 O 0.480 0.625 0.384 1
O16 O 0.493 0.105 0.871 1
# VASP energy	-412.37	eV/cell
# E_form	-2.20	eV/atom
=====
Internal Service Funds increase by $2.2M, which is the result of the Information Technology fund balance being more than anticipated related to the ongoing SAP S/4 HANA project.
Capital Project Funds decrease by $3.5M due to the on-going construction of the new Emergency Operations Center, which progressed quicker than anticipated in Fiscal Year 2022-2023, resulting in a lower fund balance than anticipated.
Clerk to the Board Instructions: